It remains to filter the block below: keep the lines with the word "I4".

'''
A geometry-optimized RbMgO3 structure. Source: Materials Project, functional GGA-PBE.

Cell and atoms, written as POSCAR:
```
RbMgO3
1.0
-3.6407 0.9580 -1.8503
-0.6650 -4.0645 -0.7959
-1.9747 -0.3974 3.6795
Rb Mg O
1 1 3
Cartesian
0.0000 0.0000 0.0000
-3.1402 -1.7520 0.5166
-2.1528 -1.5533 -1.3231
-2.8077 0.2803 0.9146
-1.3198 -2.2310 1.4418
```

Computed properties:
As for the MP2020-corrected energy: -4.883 eV/atom. Its formation enthalpy at 0 K is -6.99 eV/f.u. The total energy is -4.471 eV per atom.

----------

## LiSnCl3 (PBE-GGA)

Data for a relaxed structure of LiSnCl3.

Unit cell a=7.0020 b=7.0020 c=18.3521 alpha=90.00 beta=90.00 gamma=120.00
Space group R3c (No. 161, hexagonal axes)
One atom of each set of equivalent atoms:
1 Li 0.0000 0.0000 0.0000 (multiplicity 6)
2 Sn 0.0000 0.0000 0.1957 (multiplicity 6)
3 Cl 0.0138 0.4123 0.2676 (multiplicity 18)

Properties
- Largest piezoelectric modulus: 1.7 C/m²
- Energy relative to the elements: -163 kJ/mol of atoms
- Offset from the most stable computed form: 0.0 meV/atom

----------

# 1
A relaxed K2UO4 crystal. Source: the Materials Project database, functional r²SCAN.

Space-group type: I4/mmm

a = 4.328 Å, b = 4.328 Å, c = 7.296 Å
α = 107.25°, β = 107.25°, γ = 90.00°
Positions (direct):
K: 0.348 0.348 0.696
K: 0.652 0.652 0.304
U: 0.000 0.000 0.000
O: 0.500 0.000 0.000
O: 0.000 0.500 0.000
O: 0.854 0.854 0.708
O: 0.146 0.146 0.292

---

# 2
A relaxed Ni2SbTe crystal. Source: the Materials Project database, functional r²SCAN.

Space-group type: P-6m2

a = 3.966 Å, b = 3.966 Å, c = 5.203 Å
α = 90.00°, β = 90.00°, γ = 120.00°
Positions (direct):
Ni: 0.000 0.000 0.997
Ni: 0.000 0.000 0.503
Sb: 0.667 0.333 0.750
Te: 0.333 0.667 0.250

---

# 3
A relaxed TaTeCl9 crystal. Source: the Materials Project database, functional r²SCAN.

Space-group type: P-1

a = 6.502 Å, b = 9.389 Å, c = 11.448 Å
α = 105.40°, β = 105.75°, γ = 91.77°
Positions (direct):
Ta: 0.868 0.740 0.294
Ta: 0.132 0.260 0.706
Te: 0.699 0.666 0.834
Te: 0.301 0.334 0.166
Cl: 0.127 0.751 0.478
Cl: 0.873 0.249 0.522
Cl: 0.738 0.492 0.294
Cl: 0.262 0.508 0.706
Cl: 0.006 0.958 0.275
Cl: 0.994 0.042 0.725
Cl: 0.098 0.609 0.172
Cl: 0.902 0.391 0.828
Cl: 0.600 0.696 0.090
Cl: 0.400 0.304 0.910
Cl: 0.622 0.844 0.390
Cl: 0.378 0.156 0.610
Cl: 0.037 0.798 0.934
Cl: 0.963 0.202 0.066
Cl: 0.721 0.635 0.631
Cl: 0.279 0.365 0.369
Cl: 0.524 0.880 0.838
Cl: 0.476 0.120 0.162

---

# 4
A relaxed Zr3Au crystal. Source: the Materials Project database, functional r²SCAN.

Space-group type: Pm-3n

a = 5.508 Å, b = 5.508 Å, c = 5.508 Å
α = 90.00°, β = 90.00°, γ = 90.00°
Positions (direct):
Zr: 0.500 0.250 0.000
Zr: 0.500 0.750 0.000
Zr: 0.250 0.000 0.500
Zr: 0.750 0.000 0.500
Zr: 0.000 0.500 0.250
Zr: 0.000 0.500 0.750
Au: 0.500 0.500 0.500
Au: 0.000 0.000 0.000

---

# 5
A relaxed Er5Co2Te2 crystal. Source: the Materials Project database, functional r²SCAN.

Space-group type: Cmcm

a = 7.757 Å, b = 7.757 Å, c = 14.840 Å
α = 90.00°, β = 90.00°, γ = 150.92°
Positions (direct):
Er: 0.605 0.395 0.250
Er: 0.742 0.258 0.632
Er: 0.962 0.038 0.126
Er: 0.038 0.962 0.874
Er: 0.395 0.605 0.750
Er: 0.962 0.038 0.374
Er: 0.038 0.962 0.626
Er: 0.258 0.742 0.132
Er: 0.258 0.742 0.368
Er: 0.742 0.258 0.868
Co: 0.413 0.587 0.250
Co: 0.587 0.413 0.750
Co: 0.823 0.177 0.250
Co: 0.177 0.823 0.750
Te: 0.619 0.381 0.038
Te: 0.619 0.381 0.462
Te: 0.381 0.619 0.538
Te: 0.381 0.619 0.962

---

# 6
A relaxed TbB4W crystal. Source: the Materials Project database, functional r²SCAN.

Space-group type: Pbam

a = 6.038 Å, b = 11.669 Å, c = 3.629 Å
α = 90.00°, β = 90.00°, γ = 90.00°
Positions (direct):
Tb: 0.627 0.351 0.000
Tb: 0.373 0.649 0.000
Tb: 0.127 0.149 0.000
Tb: 0.873 0.851 0.000
B: 0.786 0.186 0.500
B: 0.214 0.814 0.500
B: 0.286 0.314 0.500
B: 0.714 0.686 0.500
B: 0.866 0.032 0.500
B: 0.134 0.968 0.500
B: 0.366 0.468 0.500
B: 0.634 0.532 0.500
B: 0.887 0.453 0.500
B: 0.113 0.547 0.500
B: 0.387 0.047 0.500
B: 0.613 0.953 0.500
B: 0.976 0.307 0.500
'''

Space-group type: I4/mmm